### To do
It remains to filter the calculation results underneath: keep the lines with the word "Rb2NaMoI6".

### Given
<<<
# 1
The following is a DFT calculation (PBE) of an optimized crystal structure of Er2RuRh.

total energy	-7.13	eV per atom
SG	Fm-3m (225)

a b c (Å): 4.7857 4.7857 4.7857
angles (deg): 60.00 60.00 60.00
With the nearest neighbours (Å) after each atom.
Sites, in units of the cell vectors:
Er (0.2500, 0.2500, 0.2500)  4 Ru 2.93, 4 Rh 2.93
Er (0.7500, 0.7500, 0.7500)  4 Ru 2.93, 4 Rh 2.93
Ru (0.0000, 0.0000, 0.0000)  8 Er 2.93
Rh (0.5000, 0.5000, 0.5000)  8 Er 2.93

=====

# 2
The following is a DFT calculation (PBE) of an optimized crystal structure of ErSbRh2.

total energy	-6.60	eV per atom
SG	Fm-3m (225)

a b c (Å): 4.6935 4.6935 4.6935
angles (deg): 60.00 60.00 60.00
With the nearest neighbours (Å) after each atom.
Sites, in units of the cell vectors:
Er (0.0000, 0.0000, 0.0000)  8 Rh 2.87
Sb (0.5000, 0.5000, 0.5000)  8 Rh 2.87
Rh (0.2500, 0.2500, 0.2500)  4 Sb 2.87, 4 Er 2.87
Rh (0.7500, 0.7500, 0.7500)  4 Sb 2.87, 4 Er 2.87

----------

1.
Rb2NaMoI6 | GGA-PBE | relaxed

Structure (extended XYZ):
```
10
Lattice="6.484 -3.536 4.109 -0.658 -1.722 8.248 -0.522 -8.020 2.614" Properties=species:S:1:pos:R:3 pbc="T T T"
Rb 3.978 -9.958 11.229
Rb 1.326 -3.319 3.743
Na 2.652 -6.639 7.486
Mo 0.000 0.000 0.000
I 4.677 -4.999 5.701
I 0.975 -7.369 4.911
I 0.627 -8.279 9.270
I 0.903 -4.040 7.889
I 4.401 -9.237 7.083
I 4.329 -5.909 10.060
```

Computed properties:
raw total energy: -3.21 eV/atom

***

2.
CsHg | GGA-PBE | relaxed

Structure (extended XYZ):
```
8
Lattice="-7.102 0.192 2.277 -0.032 -7.699 -0.771 4.180 1.655 6.464" Properties=species:S:1:pos:R:3 pbc="T T T"
Cs -1.653 -6.353 0.290
Cs -1.301 0.501 7.680
Cs -4.284 -4.709 3.655
Cs 1.330 -1.143 4.316
Hg -1.332 -2.637 1.804
Hg -1.621 -3.215 6.166
Hg -2.629 -1.057 4.126
Hg -0.325 -4.795 3.844
```

Computed properties:
raw total energy: -0.82 eV/atom

***

3.
Cu3P4Se4Br3 | GGA-PBE | relaxed

Structure (extended XYZ):
```
168
Lattice="6.507 0.000 0.000 0.000 19.288 0.000 0.000 0.076 34.061" Properties=species:S:1:pos:R:3 pbc="T T T"
Cu 4.809 2.399 2.391
Cu 6.280 2.432 25.048
Cu 1.775 13.086 22.010
Cu 1.555 16.965 31.670
Cu 1.528 13.492 29.238
Cu 4.874 16.016 18.127
Cu 4.896 15.540 33.576
Cu 5.012 12.113 19.822
Cu 1.625 13.486 17.893
Cu 3.026 16.932 9.013
Cu 1.758 7.251 14.239
Cu 4.758 15.973 29.441
Cu 3.060 13.090 10.647
Cu 6.193 5.937 27.560
Cu 5.057 15.460 22.220
Cu 4.879 5.878 16.168
Cu 3.055 3.927 23.176
Cu 3.041 7.244 25.587
Cu 4.855 12.134 31.218
Cu 1.504 3.391 4.620
Cu 5.029 6.278 12.051
Cu 1.620 3.348 15.934
Cu 2.939 13.427 6.501
Cu 1.620 13.167 33.370
Cu 4.874 6.197 0.691
Cu 4.782 5.872 4.823
Cu 6.295 12.120 8.474
Cu 1.804 3.903 11.842
Cu 6.196 16.038 6.748
Cu 6.309 15.437 10.885
Cu 2.943 3.326 27.313
Cu 1.642 3.824 0.485
Cu 1.602 7.230 2.843
Cu 6.314 6.273 23.414
Cu 1.715 16.944 20.366
Cu 4.969 2.420 13.695
P 2.360 19.047 20.226
P 0.695 10.792 2.187
P 5.464 0.299 2.475
P 2.410 9.354 14.296
P 5.241 16.971 16.180
P 2.278 9.325 2.844
P 2.637 12.011 12.524
P 5.653 16.920 4.817
P 5.943 16.622 12.709
P 0.942 10.562 24.727
P 5.848 0.277 25.185
P 2.397 12.395 4.647
P 2.392 12.058 23.859
P 4.166 18.176 24.522
P 1.990 12.424 16.005
P 0.686 1.396 31.984
P 2.268 12.009 1.117
P 2.672 9.413 25.642
P 3.949 8.572 31.874
P 1.952 12.443 27.355
P 0.925 10.716 13.284
P 2.400 2.444 29.244
P 5.531 10.039 31.217
P 5.176 16.928 27.504
P 5.645 7.306 10.202
P 1.922 2.436 6.557
P 4.178 8.648 20.777
P 2.689 2.742 21.352
P 2.211 19.065 31.586
P 5.684 16.589 24.013
P 5.925 9.951 8.419
P 2.312 2.731 32.796
P 4.195 8.802 9.334
P 5.206 6.921 6.707
P 3.940 17.967 2.077
P 5.651 6.969 29.414
P 0.913 1.188 9.540
P 2.431 2.775 10.049
P 4.190 18.004 13.124
P 1.987 2.393 17.881
P 5.522 7.355 32.945
P 5.614 0.317 13.835
P 0.936 1.360 20.938
P 5.890 7.353 21.537
P 2.594 19.087 8.877
P 5.244 6.940 18.056
P 5.566 16.633 1.265
P 5.664 10.010 19.765
Se 3.510 0.802 33.209
Se 0.275 9.296 33.011
Se 3.958 10.358 23.977
Se 6.171 15.529 25.999
Se 3.529 10.068 1.050
Se 2.863 13.531 25.554
Se 0.256 18.562 0.852
>>>

### Response
Rb2NaMoI6 | GGA-PBE | relaxed